What Were Some of Christopher Columbus' Experiences as an Explorer?

Credited as the Genoese navigator who discovered America in 1492 after journeying across the Atlantic Ocean, Christopher Columbus had actually intended to establish a sea trade route to Asia. Little did he know that he had discovered a continent unknown to the western world. The journals of Columbus meticulously documented his experiences as an explorer, revealing both his fascination with the lands he had found as well as many trials experienced by his crew as they traveled through perilous regions.
1 Deprivation
Columbus and his men endured countless hardships as they traveled throughout the Americas. For nine days in December 1502, they were tossed around at sea in storm so intense that many on his crew longed for death to end their suffering. Afterward, Columbus' crew was stranded for a year in Jamaica, after breaching in June of 1503. Even his initial discovery of America was accompanied by tragedy, which included deaths among members of his crew. Before leaving to return to Spain, his ship, the "Santa Maria," ran aground in 1492. Since a sister ship, the "Nina," could not transport the entire crew of the Santa Maria in addition to her own, Columbus "resolved to build a fort, store it with a year's provisions, and leave in it some artificers and as many of the men as desired to stay, with the ship's boat." Little more than a year later, the fort lay in ruins, strewn with corpses of these first New World colonists.
2 Vindication
Columbus set out on his initial voyage with two significant goals: He would discover a sea trade route to Asia and he would find untold treasure. Despite the fact that he never discovered large amounts of gold, he did return to Europe with other savory treasures, including pineapples, oranges and cocoa. Furthermore, he returned with a handful of natives in tow and a mysterious plant called tobacco. While he had not truly discovered a sea trade route to Asia, he had succeeded in discovering a New World, which increasingly occupied the attention of Europeans.
3 Exaltation
One of the reasons Columbus was permitted to voyage to the Americas more than once is because of the acclaim he enjoyed following his initial discovery of America. He was viewed as noteworthy, despite the fact that he had failed to discover fields of treasure. Throughout the journals of Columbus, the author even refers to himself with esteem, as the "Admiral of the Ocean Sea." Furthermore, Columbus was eyed with awe by indigenous folk of the Americas. For example, when faced with a scarcity of provisions, he applied his knowledge of astronomy to deceive American natives and make them believe he possessed supernatural powers. Aware that an eclipse was imminent, writes Washington Irving in "The Life and Voyages of Christopher Columbus," the Admiral "shut himself up in his cabin, as if to commune with the Deity, and remained there during the increase of the eclipse; the forest and shores all the while resounding with the howlings and supplications of the savages." Once the eclipse had passed, he and his men were granted gifts and provisions by the natives.
4 Frustration
(What comes next are calculated crystals, not part of the article)
# 1
For MgMn12O17F7, a structure optimized by DFT (GGA+U) gives the computed powder diffraction line list in this record (Cu Kα X-rays).

Structural model:
Cell: 4.790 5.733 15.043 Å, 91.84 92.24 90.97°
Fractional positions:
Mg 0.000 0.000 0.000
Mn 0.009 0.540 0.345
Mn 0.023 0.265 0.516
Mn 0.041 0.558 0.675
Mn 0.045 0.295 0.835
Mn 0.450 0.720 0.166
Mn 0.478 0.274 0.997
Mn 0.492 0.753 0.833
Mn 0.502 0.081 0.666
Mn 0.509 0.729 0.503
Mn 0.513 0.036 0.336
Mn 0.983 0.523 0.013
Mn 0.996 0.226 0.189
O 0.167 0.278 0.071
O 0.193 0.758 0.067
O 0.201 0.488 0.236
O 0.247 0.518 0.912
O 0.248 0.506 0.569
O 0.270 0.338 0.737
O 0.285 0.062 0.905
O 0.287 0.987 0.228
O 0.291 0.817 0.720
O 0.301 0.022 0.556
O 0.311 0.769 0.392
O 0.679 0.485 0.089
O 0.775 0.265 0.289
O 0.801 0.508 0.453
O 0.812 0.272 0.938
O 0.815 0.292 0.618
O 0.832 0.539 0.781
F 0.252 0.270 0.409
F 0.729 0.018 0.104
F 0.737 0.756 0.264
F 0.761 0.757 0.947
F 0.764 0.774 0.614
F 0.769 0.053 0.779
F 0.773 0.019 0.448

Principal peaks in the range 10 to 90 degrees two-theta, low angle first:
2θ/deg, I (rel.)
24.01, 74.3
24.45, 61.0
29.59, 100.0
29.86, 95.4
30.13, 76.5
31.10, 67.6
51.79, 59.8
54.05, 38.5



# 2
For Sr2GdMnCrO7, a structure optimized by DFT (GGA+U) gives the computed powder diffraction line list in this record (Cu Kα X-rays).

Structural model:
Cell: 10.482 10.482 10.482 Å, 158.79 158.79 30.17°
Fractional positions:
Sr 0.000 0.000 0.000
Sr 0.367 0.367 0.000
Gd 0.188 0.188 0.000
Mn 0.587 0.587 0.000
Cr 0.781 0.781 0.000
O 0.093 0.593 0.500
O 0.270 0.770 0.500
O 0.493 0.493 0.000
O 0.593 0.093 0.500
O 0.680 0.680 0.000
O 0.770 0.270 0.500
O 0.879 0.879 0.000

Principal peaks in the range 10 to 90 degrees two-theta, low angle first:
2θ/deg, I (rel.)
23.47, 17.4
32.05, 100.0
32.83, 63.0
42.62, 29.4
47.11, 37.2
56.62, 16.9
58.11, 36.8
67.01, 14.7



# 3
For Li2V2F7, a structure optimized by DFT (GGA+U) gives the computed powder diffraction line list in this record (Cu Kα X-rays).

Structural model:
Cell: 7.882 4.908 13.012 Å, 90.00 93.25 90.00°
Fractional positions:
Li 0.016 0.000 0.345
Li 0.063 0.978 0.813
Li 0.286 0.467 0.234
Li 0.440 0.986 0.409
Li 0.560 0.486 0.591
Li 0.714 0.967 0.766
Li 0.937 0.478 0.187
Li 0.984 0.500 0.655
V 0.171 0.498 0.452
V 0.172 0.980 0.042
V 0.341 0.974 0.669
V 0.428 0.477 0.887
V 0.572 0.977 0.113
V 0.659 0.474 0.331
V 0.828 0.480 0.958
V 0.829 0.998 0.548
F 0.024 0.213 0.938
F 0.057 0.829 0.517
F 0.086 0.649 0.306
F 0.127 0.234 0.153
F 0.156 0.746 0.709
F 0.227 0.744 0.924
F 0.237 0.163 0.371
F 0.252 0.285 0.590
F 0.286 0.199 0.793
F 0.339 0.763 0.133
F 0.387 0.206 0.016
F 0.400 0.761 0.540
F 0.431 0.641 0.345
F 0.488 0.724 0.759
F 0.512 0.224 0.241
F 0.569 0.141 0.655
F 0.600 0.261 0.460
F 0.613 0.706 0.984
F 0.661 0.263 0.867
F 0.714 0.699 0.207
F 0.748 0.785 0.410
F 0.763 0.663 0.629
F 0.773 0.244 0.076
F 0.844 0.246 0.291
F 0.873 0.734 0.847
F 0.914 0.149 0.694
F 0.943 0.329 0.483
F 0.976 0.713 0.062
(So much for the calculated crystals)
Not only were vast reserves of gold undiscovered in Columbus' voyages, but the presence of the Spaniards in America grew increasingly more predatory during the decade that he spent traveling to the Americas. Poor teamwork among the Spaniards themselves stymied their collective efforts. Columbus himself hanged members of his crew who disobeyed his orders. Later, he was stuck in Jamaica with his men because the Spanish governor of the nearby island of Hispaniola refused to send aid because of his detestation of Columbus. A far worse fate was suffered by American natives, who were forced to supply Spaniards with tributes of gold and cotton and "were given a token to wear around their necks as proof that they had made their payment; those who did not were...'punished'--by having their hands cut off...and left to bleed to death."